Monday, July 13, 2009


New visitors to the chronicles from the future may first wish to visit the past, by reading the earlier hologramletters. (see the older listings on the right, go to the bottom and click the link to the earlier hologramletters)

NOTE The following is an adaptation from the soon to be released book ‘Letters From 2030’. To register interest on its release, or to order a copy email Bob Williamson via this link.

February 3rd 2030.

He walked to the outgoing hologramletter screen and switched on the console. He wanted to share his earlier reflections of the day on what the alternative future by 2050 would have looked like had man continued with its illogical industrial sleepwalk, and its business as usual pace, even without the climate crisis impacts of pollution of the atmosphere. There had been many environmental activists like him on the climate impacts of daily life in the industrial world. But there had been scant activism pointing to the inevitable outcome of eating the planet to death of resources to feed the industrial model in place.

The climate naysayer could continue to spread doubt or question the outcome to man of the pollution of the atmosphere and thereby delay action by those that could have stopped it. But no one could have doubted the ultimate outcome of mans’ actions to rid the planet of the resources on which the system of life and living had been constructed. Only a few had spoken out on the need to de-industrialise the world to a new model. If more voices had been added to this cause, a third revolution may have replaced the industrial past; as it had replaced the agricultural age of man. Had more lobbied for this ‘New age of Nature Revolution’ and de-invented to reinvent the future, it may have moved the world away from the edge of darkness it was now in.

Hello my friends,

To answer the questions of why we had continued on the illogical sleepwalk of the industrial age, isn’t now ultimately needed, as the freefall of resource extinction we had committed ourselves to in the first two decades of the 21st century, has now been overtaken by the catastrophic climate chaos that devastated mankind in the third decade. But I still reflect on it as I had called it in the book, a system ‘Designed for Demise’.

We had lived with a system of finite resource depletion that was leading to the inevitable outcome. The very building blocks of the industrial age had been consumed by a mere generation or two. Resources laid down over billions of years had been profligately consumed without any consideration for the future. All eyes had been closed to the future as if it was to go on indefinitely, with what was taken for granted to feed the system of industrial life, being available to go on; as we had lived in the system, all our conscious lives. Who had designed it, and what was its flaw? Man.

Had climate change not overtaken the elimination of all finite resources, on which the system of the modern world relied, by 2050 the global infrastructure would have collapsed any way. Even in 2000, most if not all base elements needed for the system had peaked and were going into extinction. As the developing nations aspired to the standards of consumption the developed countries enjoyed, competition for a greater piece of the resource pie accelerated the freefall to resource extinction. So the whole system on which industry and its political backers portrayed as infinite, was no more than smoke and mirrors. Even though it was illogical to consider resources to feed the system would be there forever, it would in the first two decades be for the politicians, “Not in my term of Office” for industry “Not of relevance to this years financial return to share holders”. And for the general population “Not something that affects me and mine today”. I had written:

We were on a freefall to the unknown and the ground was rushing up to meet us, with some already seeing it. Like all freefalls, we were accelerating as we descended.

In the chapter ‘Designed for Demise’ I had opened with:

Our mortality is the thing we understand from the time we become aware. We willall die. This is our underlying strength and overriding weakness. The only lasting legacy will be from the children we have who will carry our memory after our time has run out.

## Next to the page, the page also holds records of crystals
____________
1.
Starting from a PBE-relaxed structure, the powder diffractogram of Tc2NiSb8 was simulated for Cu Kα (λ = 1.5418 Å).

Largest 10 diffraction maxima, by angle, 10° ≤ 2θ ≤ 90°:
2theta	Rel. int.
21.72	24
25.13	52
30.74	100
35.24	27
37.96	18
43.77	47
44.28	59
54.87	15
57.81	33
64.02	13

```
data_Tc2NiSb8
_symmetry_space_group_name_H-M 'P -3 m 1'
_symmetry_Int_Tables_number 164
_symmetry_space_group_name_Hall '-P 3 2"'
_cell_length_a 8.1822
_cell_length_b 8.1822
_cell_length_c 5.0937
_cell_angle_alpha 90.00
_cell_angle_beta 90.00
_cell_angle_gamma 120.00
loop_
_atom_site_label
_atom_site_fract_x
_atom_site_fract_y
_atom_site_fract_z
_atom_site_occupancy
Tc1 0.3333 0.6667 0.2833 1
Ni1 0.0000 0.0000 0.5000 1
Sb1 0.1514 0.3028 0.2091 1
Sb2 0.3333 0.6667 0.7722 1
```

***

2.
Starting from a PBE-relaxed structure, the powder diffractogram of NiSbTe2 was simulated for Cu Kα (λ = 1.5418 Å).

Largest 10 diffraction maxima, by angle, 10° ≤ 2θ ≤ 90°:
2theta	Rel. int.
12.11	51
27.05	50
29.10	89
33.79	100
34.53	32
36.89	28
38.13	38
44.55	27
45.76	46
49.36	33

```
data_NiSbTe2
_symmetry_space_group_name_H-M 'P 1 m 1'
_symmetry_Int_Tables_number 6
_symmetry_space_group_name_Hall 'P -2y'
_cell_length_a 3.9505
_cell_length_b 3.6927
_cell_length_c 7.5681
_cell_angle_alpha 90.00
_cell_angle_beta 105.04
_cell_angle_gamma 90.00
loop_
_atom_site_label
_atom_site_fract_x
_atom_site_fract_y
_atom_site_fract_z
_atom_site_occupancy
Ni1 0.0000 0.0000 0.0000 1
Sb1 0.4583 0.5000 0.9175 1
Te1 0.1189 0.5000 0.2422 1
Te2 0.8256 0.0000 0.6538 1
```

* * * * *

1.
The following is a theoretical powder diffractogram of Tb5Al2Ga2. It was derived from a structure optimized by DFT (GGA-PBE), using a wavelength of 1.5418 Å.
Intensities are scaled so that the largest is 100.

Atomic structure:
a = 15.6505 Å, b = 8.0730 Å, c = 7.4233 Å
α = 90.00°, β = 90.00°, γ = 90.00°
Space group Cmce (No. 64)
Inequivalent atoms, fractional coordinates:
1 Tb 0.0000 0.0000 0.0000 x4
2 Tb 0.1431 0.1866 0.3299 x16
3 Al 0.0000 0.1238 0.6124 x8
4 Ga 0.2087 0.0000 0.0000 x8

Peak list (10 most intense, 2θ from 10° to 90°, low angle first)
2θ = 25.11°, 3.546 Å, rel. 50
2θ = 27.05°, 3.297 Å, rel. 46
2θ = 31.59°, 2.832 Å, rel. 100
2θ = 31.85°, 2.809 Å, rel. 84
2θ = 32.78°, 2.732 Å, rel. 58
2θ = 32.98°, 2.716 Å, rel. 34
2θ = 33.27°, 2.693 Å, rel. 56
2θ = 34.12°, 2.628 Å, rel. 54
2θ = 35.96°, 2.497 Å, rel. 49
2θ = 38.48°, 2.339 Å, rel. 34



2.
The following is a theoretical powder diffractogram of TbAlGa3. It was derived from a structure optimized by DFT (GGA-PBE), using a wavelength of 1.5418 Å.
Intensities are scaled so that the largest is 100.

Atomic structure:
a = 5.6158 Å, b = 3.0257 Å, c = 11.9598 Å
α = 90.00°, β = 90.00°, γ = 90.00°
Space group Pmma (No. 51)
Inequivalent atoms, fractional coordinates:
1 Tb 0.2500 0.0000 0.1958 x2
2 Al 0.2500 0.5000 0.7985 x2
3 Ga 0.0000 0.5000 0.0000 x2
4 Ga 0.0074 0.5000 0.3945 x4

Peak list (10 most intense, 2θ from 10° to 90°, low angle first)
____________

Man’s design flaw was built in. You and I cannot be sustained forever. Is this why we have designed all other things to follow the same principle? Designed for demise. Take care of today, tomorrow will look after itself.

If we accept this, maybe the concept of sustainability, of an infinite future, could not have been built into our endeavours, as we planned that future with our demise as the inevitable outcome. As we know we will certainly die, have we designed all other systems to follow us in the developed civilized world? Have we in effect designed end of life into all our activities?

And had continued with:

The model of developed and developing economic industry has a single and simple flaw. It was designed by man and designed for demise.

From the time in history when we changed from hunters and gatherers, we have designed out sustainability. We have discarded any guidance that was provided by nature, which is the model of sustainability, in favour of a redesigned manmade finite future.

We tell our children to share but we show them how not to. Finite resources means going, going, gone. But every industrialized process, every commercial practice, every economic activity, every consumption pattern, revolves around the depletion of finite resources until they are going, going, gone.

My observation had been:

From the time of the first unnatural activity design, we have continued to build on what is a basically flawed process. Even though we can look back and see the outcome for past civilizations whose over consumption of resources caused their ultimate extinction, we choose the same outcome. Our activities are not designed according to the laws and guidance of nature. Each of the cups, whatever the
resource, if finite, will run out—built in inevitability.

Had we started the process of man’s endeavour without knowledge of our own mortality, we may have emulated the natural system. Any future that has a sustainable future, not a finite one, needs to start with a complete redesign. We are good at looking back, not forward. We react to issues, not to seeing them coming.
It’s not our fault, just our training. Live for today, tomorrow never comes. Don’t worry about it, it may never happen.

But we do have the advantage of 20/20 hindsight on this. We can historically see where civilizations went wrong. We can now see a future, which unless we actually want one that is finite, we must change.

Everything I have has come from our collective finite resources. It’s nearly all extracted, milled, mined, distilled and depleted from fossil and finite resources, unsustainable and designed for demise.

I had listed some of the “designed for demise” flaws with 20/20 foresight available to all that were not committed to the continuing illogical sleepwalk of the 21st century as:

The business, economic model of ever increased return on investment,
indefinitely. Designed for infinite sustainability?

The developed and developing country’s drive for sustainable increases in GDP, exports, prosperity, and job growth. Designed for infinite sustainability, or designed for demise?

The short-term election of our political leaders and decision makers—Designed for sustainability of sound policy?

Manufacturing until we run out of resources—Designed for infinite sustainability?

Mining and extractive resource depletion?

Extraction and burning of fossil reserves?

Agriculture for an ever increasing global population—Designed for infinite sustainability?

Plant geneticists working for multinational corporations to genetically modify seeds for crops that will not produce viable seed for future crop plantings. Not only
unconscionable but deliberately designed for demise?

Political and social stability, for the developed industrial model, for a few, not

Water resource depletion of fossil aquifers for current and increasing consumption—Designed for infinite sustainability?

Clearing of rainforests—Designed for infinite sustainability, or demise?

Polluting our waterways and oceans with industrial activities?

Polluting the air we breathe?

Raising the levels of atmospheric greenhouse gases—Designed for infinite sustainability, or designed for demise?

And had concluded the observation with:

It has not been our fault; we have just followed on from the lead we were given. But the future will be our fault, because we now have the indisputable luxury of 20/20 foresight.

We know the future outcome of continuing with “business as usual” and “living as usual” models. Demise!

So as I look out on the devastation that has overtaken mans' short history although the question is now academic with Mother Nature stepping in to halt mans’ folly of the industrial age. I recognise that the demise of the way of life of all human endeavours would have arrived at the door of all inevitably, as sustainability had been designed out. 2050 would have marked the inevitable rise and fall of man and the industrial model of life in the 21st century. Governments knew it, Industry knew it and logic knew it. The industrial age would have gone from cradle to grave in a mere 200 years of finite resources extinction.

So now my friends even though you now have much to trouble and torment you here in the first year of 2030, the few that are now remaining may have an old building block or two left, on which to construct sustainability with a focus on living within the bounds of the natural system. We can now redesign a system based on the principles of living with what can be provided infinitely, taking care of our needs, and no longer with greed focusing on our wants.

Until tomorrow… Stay safe – stay indoors. Much hope to you.


  1. How can we think that the way we are living can continue. We need to wake up and take the action to stop the greed of a few at the cost of all.

  2. Therein lie the problem Anonymous. The power of the status quo has a sustainable propaganda machine to instill questions in the minds of the masses. As time continues to run out, not only pertaining to an abrupt climate changing event: but towards resource depletion. A depletion that will cause global wars and barbarity, the movement clings to the hope of a peaceful awakening. IMO, nothing short of global revolution will safe humanity, and I doubt the movement could mustard the ability to accomplish such a thing anyway.
